**Work order:**
Please duplicate only the lines further below with the word "final" in them.

**Entries:**
~~~
Computed, not measured: Ge3BMo after structural relaxation at the GGA-PBE level of DFT.

Values from the calculation:
The final energy is -25.2 eV per cell. The space-group type is No. 221. The value obtained for the energy relative to the elements is 1.23 eV/atom. For the energy above the most stable polymorph in this dataset, the calculation gives 192.7 meV per atom. Its crystal system is cubic.

Cell lengths 4.871, 4.871, 4.871 Å; angles 90.00, 90.00, 90.00 degrees
Positions (direct):
Mo: 0.000 0.000 0.000
B: 0.500 0.500 0.500
Ge: 0.000 0.500 0.000
Ge: 0.000 0.000 0.500
Ge: 0.500 0.000 0.000

* * * * *

Entry 1:
The following is a DFT calculation (PBE-GGA) of a relaxed structure of SmCu3Rh4O12.

Unit cell a=6.5169 b=6.5169 c=6.5169 alpha=109.47 beta=109.47 gamma=109.47
Fractional positions:
Cu: 0.5000 0.5000 0.0000
Cu: 0.5000 0.0000 0.5000
Cu: 0.0000 0.5000 0.5000
Rh: 0.0000 0.0000 0.5000
Rh: 0.5000 0.0000 0.0000
Rh: 0.0000 0.5000 0.0000
Rh: 0.5000 0.5000 0.5000
O: 0.3040 0.8365 0.1405
O: 0.8365 0.1405 0.3040
O: 0.1635 0.4675 0.3040
O: 0.1405 0.3040 0.8365
O: 0.3040 0.1635 0.4675
O: 0.8365 0.5325 0.6960
O: 0.5325 0.6960 0.8365
O: 0.8595 0.6960 0.1635
O: 0.4675 0.3040 0.1635
O: 0.6960 0.8365 0.5325
O: 0.1635 0.8595 0.6960
O: 0.6960 0.1635 0.8595
Sm: 0.0000 0.0000 0.0000

---

Entry 2:
The following is a DFT calculation (PBE-GGA) of a relaxed structure of Sr2CuRhO4.

Unit cell a=5.3454 b=5.3454 c=5.3454 alpha=106.36 beta=111.05 gamma=111.05
Last column: magnetic moment on the atom in μB.
Fractional positions:
O: 0.3762 0.9129 0.8606  0.15
O: 0.9476 0.4633 0.0871  0.15
O: 0.6238 0.4844 0.5367  0.15
O: 0.0524 0.1394 0.5156  0.15
Rh: 0.5000 0.2500 0.7500  0.94
Sr: 0.5000 0.7500 0.2500  0.00
Sr: 0.0000 0.0000 0.0000  0.00
Cu: 0.0000 0.5000 0.5000  0.38

---

Let's list formation energy without anion corrections in order: -1978.8; -1149.8 kJ/mol of formula units.
~~~

**Result:**
The final energy is -25.2 eV per cell. The space-group type is No. 221. The value obtained for the energy relative to the elements is 1.23 eV/atom. For the energy above the most stable polymorph in this dataset, the calculation gives 192.7 meV per atom. Its crystal system is cubic.